-Thomas Jefferson (from the Jefferson Papers)
Here the page breaks off for records of crystals >
+++
The following is a DFT calculation (PBE+U) of Fe2Te3O9 after structural relaxation.

```
56
Lattice="-0.2516 0.9936 -5.2540 -6.5912 -4.3894 -0.5144 -10.0007 14.6368 3.2470" Properties=species:S:1:pos:R:3 pbc="T T T"
O -5.0881 5.7675 -3.9869
O -6.4843 -0.6294 -0.0701
O -4.9717 2.0609 0.4044
O -6.6046 7.1598 1.0001
O -11.7555 5.4735 1.4655
O -8.2701 3.1244 -1.8726
O -9.5379 6.8465 -3.1037
O -8.7710 9.5459 -2.9670
O -11.8718 9.1802 -2.9258
O -13.1144 12.0809 -1.9425
O -6.1717 8.7625 -1.3729
O -8.0725 1.6951 0.4456
O -8.4710 10.9595 -0.4721
O -8.3726 0.2816 -2.0493
O -5.9590 -2.1828 -4.9111
O -3.2903 1.9668 -1.9358
O -9.7482 13.9969 -0.2117
O -10.6718 2.4786 -1.1485
O -5.7355 -0.5853 -2.6956
O -8.5735 8.1167 -0.6488
O -11.1081 11.8263 0.1742
O -11.9650 6.9498 -1.1013
O -4.8786 4.2913 -1.4201
O -7.3056 4.3946 0.5823
O -10.3593 11.8704 -2.4513
O -3.7292 -0.8399 -0.5789
O -14.2442 11.4818 0.7968
O -10.8846 13.4239 2.3897
O -2.5534 2.0579 -4.8098
O -2.5994 -0.2407 -3.3182
O -7.0954 -2.7559 -2.3097
O -14.2901 9.1831 2.2884
O -6.8794 6.0233 -1.9286
O -13.5532 9.2743 -0.5856
O -9.9642 5.2177 -0.5928
O -10.2390 4.0812 -3.5215
Te -3.9831 0.9806 -4.0526
Te -6.9341 1.0271 -0.9793
Te -7.2475 -1.3374 -3.6579
Te -3.6253 3.1700 -0.4482
Te -10.3867 6.6399 0.7280
Te -12.8605 10.2604 1.5312
Te -13.2183 8.0711 -2.0732
Te -9.5961 12.5784 1.1365
Te -9.7213 2.2832 -2.8547
Te -7.1223 8.9579 0.3333
Te -9.9095 10.2140 -1.5421
Te -6.4569 4.6012 -3.2494
Fe -5.3078 -1.9141 -1.2423
Fe -7.8305 7.7323 -2.4821
Fe -9.0130 3.5087 -0.0393
Fe -11.1050 5.4542 -2.2982
Fe -14.8102 10.8771 -1.0952
Fe -2.0333 0.3640 -1.4262
Fe -5.7385 5.7868 -0.2232
Fe -11.5357 13.1552 -1.2791
```

## Properties
V ... 13.67 Å³/atom
E (MP2020) ... -371.3 eV/cell
Symmetry ... Pnma
M_tot ... 0.714 μB/atom
Mass density ... 5.54 g/cm³
ΔE to the lowest computed polymorph ... 0 meV/atom
Formation enthalpy at 0 K ... -1.5663 eV per atom

The following is a DFT calculation (PBE+U) of BaFeCuF7 after structural relaxation.

```
20
Lattice="-5.6393 0.3248 -4.7875 -3.9983 -5.0873 3.6000 -4.5889 2.4366 2.4700" Properties=species:S:1:pos:R:3 pbc="T T T"
Ba -6.8122 -2.1559 2.1802
Ba -5.1189 -1.3915 -2.1277
Cu -10.5794 -2.9031 1.4362
Cu -3.3136 -0.5226 1.5507
Fe -5.9880 1.7822 0.9982
Fe -8.5945 -2.9341 -1.5351
F -4.6711 0.9678 2.1596
F -11.3298 -2.3800 3.4185
F -5.1496 1.2443 -0.7091
F -4.3104 -4.0582 2.0051
F -7.1854 -2.1730 -0.5042
F -4.6936 -1.3373 0.5862
F -2.3972 0.2987 -0.0759
F -12.0277 -1.9702 0.3442
F -7.6338 0.5538 -2.0193
F -9.7546 -1.3350 -1.4724
F -9.3883 -3.8449 -0.0229
F -7.1777 0.2976 1.0885
F -2.1603 -2.3747 1.6280
F -9.3901 -1.4595 1.4262
```

## Properties
V ... 13.83 Å³/atom
E (MP2020) ... -113.2 eV/cell
Symmetry ... C2
M_tot ... 0.600 μB/atom
Mass density ... 4.68 g/cm³
ΔE to the lowest computed polymorph ... 0 meV/atom
Formation enthalpy at 0 K ... -2.8688 eV per atom

The following is a DFT calculation (PBE+U) of SrTlVO4 after structural relaxation.

```
28
+++
“The people of various provinces are strictly forbidden to have in their possession any swords, bows, spears, firearms or other implements of war. The possession of these implements MAKES DIFFICULT THE COLLECTION OF TAXES AND DUES and tends to foment uprisings.”
–Toyotomi Hideyoshi, Shogun, 1588

“NO ONE is bound to obey a Unconsitutional Law and no courts ARE BOUND to ENFORCE IT.”
-16 Am. Jur. Sec. 177 late 2d, Sec 256
After a tremendous amount of reflection and some historical research I have finally decided to opine concerning the “Euphemistic Assault” by the current administration on the unprecedented taxation currently being dumped on Americans combined with the seemingly separate outright attack on the 2nd Amendment and Right to Keep and Bear Arms. As you know, I try at all cost to stay away from Political discussion on this blog because I feel my time and more importantly, your time, could be better spent studying other topics. What made me change my mind was a discussion I had with a very close friend the other day concerning the future of America and what we are leaving as an inheritance for our children. As a Veteran, this struck a chord, because I and countless thousands of other Vets have invested time, blood, sweat and some, their very lives into this country to see it succeed and prosper, not to see it ripped apart and for lack of a better word, Pissed On.
Take into account I am not doing this to draw attention to myself, (although I know that I am..all that I ask is that the NSA spell my name right.) But as a “reality check” to some who have been “wooed” into a state of “suspended, useless animation” by those in Local, State and Federal Government. These folks have no shortage of catchy sound bites and false promises (this includes Obama himself) to assure you that your rights are NOT being infringed..(while at the same time slipping his hand into your wallet)..but the changes being made are for the “good of the people and the nation as a whole” and that “your Government” knows what is best for you; all the time, Obama is raising taxes at an unprecedented rate, even disguising some tax hikes (and some anti-gun legislation) in neat little PR packages like “Obama Care”.
(What comes next are records of crystals, not part of the page)
Computed, not measured: a relaxed structure of Ca2GdSbO6 at the PBE level of DFT.

Output
V, Å³/atom: 14.7
Energy relative to the elements, meV per atom: -2880

Lattice parameters (Å, degrees): 5.9247 5.9247 5.9247 60.00 60.00 60.00
Closest atoms and distances in Å follow each position.
Fractional coordinates of all 10 atoms:
Ca 0.2500 0.2500 0.2500  12 O 2.96
Ca 0.7500 0.7500 0.7500  12 O 2.96
O 0.2638 0.7362 0.2638  1 Sb 1.98, 1 Gd 2.21
O 0.7362 0.2638 0.2638  1 Sb 1.98, 1 Gd 2.21
O 0.2638 0.2638 0.7362  1 Sb 1.98, 1 Gd 2.21
O 0.2638 0.7362 0.7362  1 Sb 1.98, 1 Gd 2.21
O 0.7362 0.2638 0.7362  1 Sb 1.98, 1 Gd 2.21
O 0.7362 0.7362 0.2638  1 Sb 1.98, 1 Gd 2.21
Gd 0.0000 0.0000 0.0000  6 O 2.21
Sb 0.5000 0.5000 0.5000  6 O 1.98



Computed, not measured: a relaxed structure of CaGdPd2 at the PBE level of DFT.

Output
V, Å³/atom: 22.0
Energy relative to the elements, meV per atom: -770

Lattice parameters (Å, degrees): 4.9946 4.9946 4.9946 60.00 60.00 60.00
Closest atoms and distances in Å follow each position.
Fractional coordinates of all 4 atoms:
Ca 0.5000 0.5000 0.5000  8 Pd 3.06
Gd 0.0000 0.0000 0.0000  8 Pd 3.06
Pd 0.2500 0.2500 0.2500  4 Gd 3.06, 4 Ca 3.06
Pd 0.7500 0.7500 0.7500  4 Gd 3.06, 4 Ca 3.06



Computed, not measured: a relaxed structure of CaGdRh2 at the PBE level of DFT.

Output
V, Å³/atom: 20.4
Energy relative to the elements, meV per atom: -585

Lattice parameters (Å, degrees): 4.8673 4.8673 4.8673 60.00 60.00 60.00
Closest atoms and distances in Å follow each position.
Fractional coordinates of all 4 atoms:
Ca 0.5000 0.5000 0.5000  8 Rh 2.98
Rh 0.7500 0.7500 0.7500  4 Gd 2.98, 4 Ca 2.98
Rh 0.2500 0.2500 0.2500  4 Ca 2.98, 4 Gd 2.98
Gd 0.0000 0.0000 0.0000  8 Rh 2.98



Computed, not measured: a relaxed structure of CaGdS2 at the PBE level of DFT.

Output
V, Å³/atom: 22.3
Energy relative to the elements, meV per atom: -2331
Total moment, μB/f.u.: 6.97

Lattice parameters (Å, degrees): 3.9775 3.9775 5.6472 90.00 90.00 90.00
Closest atoms and distances in Å follow each position.
Fractional coordinates of all 4 atoms:
Ca 0.0000 0.0000 0.0000  6 S 2.81-2.82
Gd 0.5000 0.5000 0.5000  6 S 2.81-2.82
S 0.5000 0.5000 0.0000  4 Ca 2.81, 2 Gd 2.82
S 0.0000 0.0000 0.5000  4 Gd 2.81, 2 Ca 2.82



Computed, not measured: a relaxed structure of CaGd2S4 at the PBE level of DFT.

Output
V, Å³/atom: 21.5
Energy relative to the elements, meV per atom: -2366
Total moment, μB/f.u.: 14.00
Largest piezoelectric modulus, C/m2: 0.45

Lattice parameters (Å, degrees): 7.3084 7.3084 7.3084 109.51 109.51 109.40
Closest atoms and distances in Å follow each position.
Fractional coordinates of all 14 atoms:
S 0.6197 0.0149 0.7504  4 Gd 2.79-3.03, 2 Ca 2.83-3.06
S 0.1303 0.3806 0.8952  4 Gd 2.79-3.03, 2 Ca 2.83-3.06
S 0.6194 0.5146 0.7496  4 Gd 2.79-3.03, 2 Ca 2.83-3.06
S 0.2646 0.8694 0.2496  4 Gd 2.79-3.03, 2 Ca 2.83-3.06
S 0.4854 0.2351 0.1048  4 Gd 2.79-3.03, 2 Ca 2.83-3.06
S 0.9851 0.7354 0.6048  4 Gd 2.79-3.03, 2 Ca 2.83-3.06
(The page goes on)
Take into account that as you are reading this article and any comments made thereafter, are ALL protected by the First Amendment of the Constitution of the United States (Free Speech), an Amendment which like all the rest proceeding it, were written and framed by men who understood that democracy is only as strong as the people who are elected (by the people) to practice it. And that a Government of elected officials that no longer follows the rule of law (Constitution, Bill of Rights) as it is written, but rather regard them as a “Charter of Negative Rights” that are too “limiting” is by definition, unjust, and no longer valid. Thus, any “laws” that are made there afterwards to enforce these “falsehood’s” are “Unconstitutional” and no citizen nor court are bound to enforce them. (see above quote).
In keeping with this “illegal action” theme, it was recently brought to my attention by my good buddy Wild Bill, that due to a Supreme Court decision in 1997, Printz vs United States which states that no matter what Federal Gun laws may be passed, it is ultimately up to your County Sheriff to enforce them. Combining that with the quote at the beginning of this article, your County Sheriff then would have the right to either obey or not obey whatever anti-gun legislation that may be passed down, depending on if he thinks it is un-constitutional. All the more reason IMO to be actively involved in who you vote for in local races!! As you can read, a County Sheriff has more legal authority in his county than the Governor of the State!! I highly urge you to get into contact with your local Sheriff to ensure they understand their powers and rights as it pertains to defying the Federal government in these matters. Here is the trail blazer in this area, Sheriff Mack’s website to pass along: SheriffMack.Com.
Secondly, as history records, an “unarmed” nation (a nation where civilians are prohibited from owning firearms and only the “police” are allowed ownership) is prone to becoming a “Police State”, a Totalitarian regime, where the will of a corrupt and immoral government cannot be challenged, especially when exorbitant tax hikes and ridiculous demands are thrown on the populace (see AMERICAN REVOLUTION).
Think for just a minute: What is the real agenda in wanting to ban so called “Assault, High Capacity Weapons??”, when the statistics show more people are murdered with knives and hammers?! 90% of these weapons (semi-automatic military type weapons) are bought for “self-defense” by responsible, legal gun owners?? (BTW, the other 10% is a mix of hunters and competition shooters). Could it be that the current administration does not want you to be able to defend yourself?? It is a Valid Question.
In closing, the framers of the Constitution knew this fact intimately, in fact their bodies bore the scars, both physical and mental, attesting to its validity. However, in their infinite wisdom, the framers knew that outright rebellion to a standing Government’s rule had to be the LAST RESORT….the body count of battles such as Lexington, Bunker Hill and Oriskany demanded that fact. However, as the old adage dictates, “Never put a desperate man into a desperate situation..he can be likened to a cornered animal, full of Fear, Rage and HATE.”
The current administration in Washington would be wise to heed these warnings and to know beyond a shadow of a doubt, Responsible Gun Owners know their rights and will not go quietly while they are taxed to death and attempted to be disarmed by an unjust group of Anti-American GARBAGE..
Recent Update:
I urge all my readers to sign the pledge in this link and pass it on to EVERYBODY you know…nothing could be more important to the future of this country!
Keep your ear to the Ground and Stay Dangerous!